Are your bedroom closets cold? Closets get cold for several reasons.
Primarily, bedroom closets get chilled because they are not well insulated or not insulated altogether. Cold closets can wreak havoc if not treated seriously.
Regardless of why your bedroom closets are getting chilled, the biggest threat is the formation of frost then mold.
Whether you like it or not, winter will come and stick around for a considerably longer time. For this reason, you need to keep your bedroom closets insulated to stay warmer in winter.
Your bedroom closet may get colder than usual if there is no air circulation, especially when installed on an exterior wall.
Basically, bedroom closets, and any other storage area for that matter, should have ducts provide ideal air circulation.
With that said, how do you insulate a cold bedroom closet in your manufactured home?
What else can you do to keep your bedroom closets warm in cold weather?
This article will introduce to you everything you need to know about insulating closets and keeping them warm throughout the year. Keep reading.
Why Are Your Bedroom Closets Cold?

Have you had the unfortunate experience of opening your bedroom closet, grabbing your outfit for a function only to find it is cold?
What else could be frustrating than this?
If your bedroom closets have little to no insulation, it is likely that they will be freezing through the winter.
Basically, there are two reasons why bedroom closets in a manufactured home get chilled during winter.
1. Uninsulated Exterior Wall
If your closets are installed on an uninsulated exterior wall, it is a no-brainer that they will freeze during cold weather. The chances are that the coldness may spread into your bedroom; therefore, resulting in an unwelcome chill.
2. Bedroom closets barely have a duct to supply air
Air gaps under your closet door facilitate air circulation, which is ideal and helps keep your closet interior warm.
If your closets are insulated and have air supply vents, it is likely there are other reasons.
During the winter, the heat generated by the heating system may be directed to other places; therefore, leaving your closets cold.
This is probably because the vents are not wide open. If this is the case, you may need to open the closet door partially.
Effects of cold bedroom closets
The biggest threat of cold bedroom closets is the growth of molds.
Both dampness and molds can be a health risk and significantly contribute to respiratory problems.
Because winter sticks around for longer, the coldness in your closets can spread to the entire room.
Living in a cold environment can be problematic and psychologically stressful for the aged, sick, and young.
If you let your cold bedroom closet stay unaddressed, you will likely find most of your clothes cold every morning. Wearing cold clothes will increase your chances of getting acne on the skin.
Note that mold growth tends to worsen when your bedroom closet is poorly ventilated.
Although most molds are less harmful to health, there are some species that release potentially toxic substances; therefore, causing adverse reactions.
It is advisable to insulate your bedroom closets and keep them ventilated to be on the safest side.
People with pre-existing respiratory issues are likely to suffer most if they don’t insulate and ventilate their bedroom closets.
Why Should You Insulate Your Bedroom Closet?
Your bedroom closet is probably the first place you enter every morning.
It annoys when you open your bedroom closet only to meet a very cold breeze.
Ideally, the primary reason you need to insulate your closet is to keep it warm enough during winter.
Insulating reduces the amount of heat escaping your bedroom closet’s interior.
There are several practical benefits of installing insulation in your bedroom closets.
Regardless of how harsh is the cold or sweltering is the heat, you will enjoy the following:
- Ultimate moisture controls
- Insulating is a great way to go green in addition to increasing the comfort in your closet and the entire home.
- Properly installed insulation absorbs noise. Most are excellent sound absorbers.
- Insulating can significantly lower your energy bills.
- Insulation suppresses the growth of molds that can be potentially toxic.
- Insulation improves the quality of indoor air.
- Insulation is a thermal barrier. Although insulations are credited for their ultimate benefits during the cold months, they also keep the rooms more relaxed during summer. Basically, they ensure the heat or cold coming from your HVAC system remains indoors.
How To Insulate Your Bedroom Closet

Now you understand the benefits of insulating a bedroom closet and how it can be hazardous to overlook the issue.
So, where do you start for you to insulate your wardrobe properly? To insulate your cold bedroom closet, the first step is usually to identify where the cold comes from.
Basically, touching the walls will tell you the exact source of coldness. Make sure also to touch the floor and feel how cold it is. All the sides that feel uncomfortably cold need to be insulated immediately.
Cold in bedroom closets, especially during winter, comes from an outside wall.
However, cold can also come from the floors or ceiling. For this reason, proper inspection is necessary as it will help insulate all the sides through which cold enters your closet.
Nevertheless, insulating the exterior wall, closet walls, ceiling, and floor will result in fantastic insulative value.
To resolve the uncomfortable state of having a cold bedroom closet, let’s explore insulating various closet sides.
1. Exterior Wall Insulating
Many people prefer to rip out the drywall, insulate, then hang and finish the drywall.
Although hanging and finishing drywall is easy and does not require special skills, removing it is not the best idea.
You can still insulate your exterior walls without removing the drywall. Indeed, insulating manufactured home walls from outside is one of the easiest ways to retro-fit insulation.
If you are ready to incur the cost of installing new drywall, it will be the best.
Removing the drywall will allow you to install an airtight and vapor barrier to provide optimal efficiency.
If you don’t want to remove the drywall, injecting spray foam is the way to go. This is how to do it.
Step 1: Drill holes in the wall
- Find all the studs on the wall using a high-quality stud finder and mark them using a pencil.
- Drill small holes 1 to 2 inches in diameter between every pair of studs.
- The holes should be drilled at the top of the wall, so insulation naturally piles up and creates an even layer.
Step 2: Blow the insulation into cavities
- Inject cellulose or spray foam into the cavities using a hose until they are filled.
- It is apparent that there are no windows on the outside wall where your bedroom closets are designed.
- If you are injecting insulation into all exterior walls, you will need to check for any obstruction.
- Depending on the obstructions, you will choose whether to blow from the top or bottom.
- Make sure to wear the right protective gear.
Step 3: Sealing and painting
- After filling all cavities, you will need to patch the installation holes.
- Replace the cutouts, fill with wood filler, and allow it to dry.
- After all the holes are patched and dry, sand smooth, and paint to restore your manufactured home siding.
Spray foam is increasingly gaining popularity.
It is a poly material that is sprayed as a liquid then expands once it gets into contact with the air.
Despite its soft fluffy appearance, spray foam has a considerably higher R-value.
One of the amazing benefits of spray foam is that it expands appropriately to fill crevices, leaving no air spaces.
2. Closet Floor Insulating
If the floor of your bedroom closet is uncomfortably cold, you need to insulate it.
Fortunately, insulating a manufactured home floor is one of the easiest things, especially if you are a savvy DIYer.
Even a simple carpet acts as an insulation and can do if the floor is not too cold.
However, it is good to use insulation if you want to benefit the most.
Here are the steps to insulate the closet floor:
Step 1: Preparation
- You will want to optimize the crawlspace.
- Prepare the space by removing the fabric road barrier that protects the manufactured home underbelly during protection.
- After removing it, turn off the water supply and off the electricity to prevent possible electrocuting.
Step 2: Cover water pipes and seal any gaps.
- Cover all water pipes with foam pipe insulation and secure tightly against the floor.
- This will ensure you don’t hassle when insulating because the insulation must cover the lines.
- If there are any air gaps, seal them with high-quality caulk.
Step 3: Installing the insulation
- For underfloor insulation, fiberglass insulation is the most preferred insulation material.
- They are easy to install and provide relatively higher R-value. Greater R-value means a more effective insulant value.
- Fill all the cavities with unfaced batts with the paper facing the ground.
- Attach wires to joists to tightly secure the insulation and provide optimal support.
- If there are any crevices that are not well filled, use spray foam to fill them.
Step 4: Re-install the road barrier.
- Re-attach the fabric road barrier to lower the risks of condensation and freezing.
- If the fabric barrier is seriously damaged, you will want to replace it to provide an ultimate solution.
3. Closet Ceiling Insulating
It is possible the cold in your bedroom closet comes from the attic.
For this reason, you will want to insulate the ceiling.
Here is how to do it. As with the floor, fiberglass insulation is also a suitable material to insulate your ceiling for optimal energy efficiency.
Here are the steps you need to follow.
Step 1: Measuring Up
- The first step is to measure the area you want to insulate.
- Measure the distance between joists and ensure you measure all spaces.
- The standard width between joists is 24 inches.
- Roughly determine the area you want to insulate.
- Basically, this is the area above your bedroom closet unless you want to insulate the entire ceiling.
- You will also want to determine the R-value needed – R-value may be specified by code.
- The higher the R-value, the better the insulation.
Step 2: Prepare to install the insulation
- You will find wires running on the ceiling in almost every home.
- Therefore, to be safe, you will need to switch off the electricity before starting installation.
- It is also a good idea to check if your ceiling is strong to withstand insulation weight.
- You will barely find plumbing lines passing over the bedroom closet.
Step 3: Install the insulation
- When installing the insulation, you start with filling the spaces between joists.
- Pre-cut the batts into ideal sizes and tuck them into cavities without compressing them.
- Compressing fiberglass insulation reduces its efficiency.
- Fit the basts snugly between all joists onto the ceiling plaster.
- After filling between joists, add a second layer with unfaced insulation to cover the joists entirely.
- When installing the insulation, make sure to be keen on recessed lighting.
- Unless fixtures are insulation-contact (IC) rated, keep insulation at least 3 inches from them.
4. Closet Wall Insulating
As mentioned earlier, closet coldness is likely to come from an outside wall.
However, installing insulation on your walls will ensure that the closet retains maximum heat.
The recommended R-value for closet walls is R-1; however, there is no harm in making it higher.
Higher R-value only ensures the resultant insulative value is impressive.
For bedroom closet walls, you can use unfaced insulation as it works the best.
- Because you don’t want to lose any closet depth, it will be better when injected foam is used.
- The process of blowing insulation into closet wall cavities is like that of insulating an outside wall.
- Locate all studs and cut small holes between every two adjacent studs. The holes should be closer to the ceiling as possible.
- Inject the spray foam into the holes until the cavities are filled. You will need to lay sheets on the floor to make cleaning easy.
- Seal the installation holes, sand smooth, then paint to give your bedroom interior its original elegant look.
After insulating every surface of your bedroom closet, you are sure to enjoy the rest of your time with a warmer closet.
With proper insulation, your bedroom closet will have ideal temperatures all year round. Make sure to seal all edges appropriately.
What Should You Do If The Closet Is STILL GETTING COLD?
If you are living in an extremely cold climate, you might find your bedroom closet is cold even when it is insulated.
We all know that insulating walls is the ultimate way to optimize energy efficiency in your home.
Although the recommended R-value for a bedroom closet wall is R-11, it will be better if you made it higher.
For people in icy conditions, installing insulation with R-30 can work better, and it won’t cost that much more than the R-11.
If things seem not to work, you can work on the venting. Ideally, you will have to vent your closet properly to facilitate air circulation.
If the heat from your HVAC system is not reaching the closet, you might consider leaving it partially open. This is because closet doors can block heat.
The ultimate solution if your insulated bedroom closet is still getting cold, is adding a heat source.
Apparently, you will face two significant problems
- lack of spaces
- and few freestanding walls.
For this reason, the best source of heat is underfloor heating. However, heating bedroom closets you risk fire hazards; therefore, you will want to eliminate heaters that get overly hot.
Underfloor Heating Pros
- It is a superior and efficient method of heating your bedroom closet.
- Most underfloor heat sources do not get overly hot. Basically, hot water pipes are the common sources of heat in bedroom closets. They are easy to install and take little to no space.
- Underfloor heating ensures that heat is distributed evenly. As a result, you will never get disappointed to pick a cloth in the morning only to find it is cold.
Underfloor Heating Pros
- It is an expensive way to heat your bedroom closet. The upfront costs of installing underfloor heating are usually high.
- Underfloor heating takes too long to warm up. This might upset you, especially if you are in a hurry.
Making your cold bedroom closet warmer is not one of the hardest things.
Records of molecules, as found in the file.
+++
[1]
The following is a DFT calculation (the ωB97M-V functional and the def2-TZVPD basis) of 11 unconnected molecules or ions with the total composition C45H66F2N4O29S5 at a distorted geometry.

Values from the calculation:
Gap between HOMO and LUMO   8.84 eV
Total charge   0
Lowest unoccupied orbital energy   -0.9 eV

Geometry as XYZ:
```
151
Properties=species:S:1:pos:R:3:forces:R:3:lowdin_charge:R:1
C -12.061 -20.436 12.284 -0.2 -0.4 1.8 -0.08
C -10.896 -20.267 11.591 1.6 -0.2 0.0 -0.08
C -9.653 -20.537 12.183 -0.2 0.8 0.8 0.01
C -9.570 -20.911 13.553 -0.3 -0.2 -1.7 -0.14
C -10.729 -21.056 14.275 -1.6 0.1 -0.2 0.00
C -11.986 -20.814 13.646 0.9 0.0 -0.8 -0.04
N -8.268 -21.191 14.201 1.9 1.2 0.5 -0.32
O -8.208 -21.785 15.280 -0.7 0.5 -1.6 0.07
O -7.271 -20.671 13.657 -1.6 -1.1 0.6 0.05
H -13.025 -20.263 11.829 0.0 0.0 0.0 0.11
H -10.859 -19.900 10.576 -0.3 -0.1 -0.1 0.11
H -8.802 -20.242 11.588 0.4 -0.5 0.3 0.11
H -10.670 -21.348 15.313 -0.1 0.0 0.0 0.12
H -12.937 -20.933 14.145 0.2 -0.1 0.5 0.10
C -3.883 -29.832 18.279 0.3 -1.0 0.5 -0.08
C -3.984 -30.514 17.073 -0.4 0.5 0.9 -0.05
C -3.969 -29.771 15.905 0.3 -1.7 -1.4 -0.03
C -3.723 -28.451 15.908 -0.3 2.3 2.7 -0.15
C -3.536 -27.774 17.152 0.7 -0.6 -0.7 0.02
C -3.602 -28.491 18.341 0.4 1.2 -1.4 -0.07
N -3.709 -27.633 14.700 1.1 1.0 -0.1 -0.35
O -3.340 -26.478 14.864 -0.3 -0.2 -0.2 0.06
O -3.976 -28.102 13.619 -0.3 -0.6 0.0 0.09
H -3.896 -30.369 19.216 -0.1 -0.3 0.0 0.11
H -4.085 -31.588 17.124 -0.1 0.0 -0.4 0.11
H -4.005 -30.202 14.915 -0.3 -0.5 0.0 0.12
H -3.139 -26.770 17.189 -0.4 0.1 -0.3 0.11
H -3.275 -27.966 19.227 -0.4 -0.2 0.3 0.11
C 4.133 -28.486 13.161 1.3 1.1 -0.2 -0.07
C 5.028 -27.899 12.226 -2.4 -1.2 0.7 -0.05
C 5.245 -28.627 11.068 1.6 -0.4 -0.6 -0.03
C 5.003 -30.006 11.013 -1.3 0.4 1.7 -0.10
C 4.178 -30.561 12.061 0.4 -0.8 -2.7 -0.01
C 3.620 -29.771 13.030 0.9 1.3 0.5 -0.08
N 5.582 -30.888 9.926 0.4 0.3 0.8 -0.33
O 5.047 -31.985 9.773 0.8 1.3 -0.2 0.07
O 6.609 -30.473 9.370 -1.9 -0.8 0.6 0.07
H 3.914 -27.929 14.060 -0.3 0.2 0.0 0.10
H 5.327 -26.870 12.354 0.1 -0.1 -0.2 0.11
H 5.739 -28.115 10.256 0.3 -0.3 -0.2 0.11
H 3.902 -31.598 11.942 0.1 -0.2 0.1 0.11
H 2.904 -30.021 13.799 0.0 -0.8 -0.3 0.11
C 5.544 -16.904 2.968 0.3 -0.1 -0.2 -0.07
C 6.059 -18.028 3.598 -0.9 0.2 -0.1 -0.07
C 5.765 -18.237 4.936 0.0 1.0 1.3 -0.01
C 4.986 -17.301 5.671 1.4 1.3 -1.5 -0.10
C 4.627 -16.070 5.006 -0.6 -1.5 2.2 -0.01
C 4.909 -15.909 3.697 0.0 -0.5 -1.7 -0.10
N 4.879 -17.396 7.149 -1.4 -0.4 1.2 -0.31
O 5.713 -18.093 7.755 -1.6 1.5 -1.1 0.06
O 3.891 -16.815 7.680 2.6 -1.2 -1.2 0.04
H 5.618 -16.749 1.902 0.3 -0.2 -0.1 0.11
H 6.628 -18.781 3.074 0.0 0.1 -0.1 0.11
H 6.302 -19.037 5.423 -0.5 -0.2 0.4 0.11
H 4.048 -15.274 5.451 0.1 -0.2 0.7 0.12
H 4.557 -15.059 3.130 0.0 0.3 0.3 0.11
O -11.095 -20.367 4.917 1.1 -1.3 -0.2 -0.29
S -10.368 -21.421 4.239 0.3 0.3 -0.7 0.66
O -9.251 -21.078 3.362 -1.5 -0.6 1.2 -0.30
O -9.842 -22.546 5.321 -1.2 2.8 -0.5 -0.28
C -8.917 -23.494 4.867 1.8 -1.6 0.9 -0.31
+++
The records of molecules stop here.
All you need is to install insulation having a higher R-value.
If you are a savvy DIYer, you will find the entire process of installing insulation simple.
Insulating your bedroom brings more comfort to your bedroom, and it is also an easy way to go green.
Insulating the closet will eliminate all disappointments that may result from finding your clothes cold.